Great comments on last weeks question on Are you as you are in real life as your blog life?
I'm a lot more fun in my blog. In person, I'm probably boring.
- I can't imagine that. Your blog is too fun for you to be boring!
This is something I struggle with, but kind of in the opposite: I think I am much nicer on my blog than I am in real life, meaning I'm much more forthcoming and open if you know me in person.
I like to think of my blog as a better, nicer, and kinder version of me. :) - That's interesting. Who do you enjoy being more? The blogger or the real lifer?
I'm just as snarkastically delicious in real life as I am in my blog. I speak just as grammatically correct as I write, and I never misspell any words in my head.
BUT, I like people in Blogland better than I do in real life. In real life, people tend to get on my nerves and make me want to blog about them=) - I love ANYONE that says they are snarkastically delicious!!!
# Unrelated to this entry: calculated molecules
+++
1.
C19H24IrN2O2S4 | the ωB97M-V functional and the def2-TZVPD basis

Results
Lowest unoccupied orbital energy, eV: 2.4
Gap between HOMO and LUMO, Eh: 0.235
M, g/mol: 632.90
Net charge: -1
Relative energy (zero: lowest compared OMol25 entry of this formula, charge and spin), kJ/mol: 64.3

Cartesian coordinates (Å):
Ir 0.704 -0.691 0.795
C 1.708 2.271 0.620
N 0.477 1.450 0.634
C -0.250 1.546 -0.659
C 0.449 0.707 -1.717
N 0.547 -0.742 -1.351
C -0.663 -1.497 -1.745
C 1.768 -1.280 -1.956
C 1.792 -1.703 -3.277
C 2.976 -2.133 -3.857
C 4.144 -2.125 -3.105
C 4.125 -1.693 -1.792
C 2.937 -1.261 -1.195
S 2.933 -0.682 0.459
C -0.319 1.901 1.783
C -1.098 3.042 1.696
C -1.815 3.484 2.797
C -1.729 2.777 3.989
C -0.942 1.643 4.075
C -0.220 1.178 2.974
S 0.745 -0.292 3.079
H 1.450 3.319 0.441
H 2.400 1.911 -0.137
H 2.191 2.170 1.590
H -0.293 2.584 -1.010
H -1.263 1.185 -0.473
H 1.470 1.064 -1.855
H -0.067 0.807 -2.678
H -0.859 -1.400 -2.817
H -1.509 -1.111 -1.179
H -0.515 -2.536 -1.464
H 0.882 -1.706 -3.861
H 2.984 -2.476 -4.883
H 5.074 -2.468 -3.543
H 5.032 -1.698 -1.199
H -1.166 3.584 0.760
H -2.445 4.360 2.718
H -2.299 3.099 4.852
H -0.903 1.071 4.993
C -4.053 0.781 -0.894
O -4.505 -0.500 -0.495
C -3.824 -1.198 0.464
S -4.433 -2.715 0.763
S -2.433 -0.497 1.155
H -4.804 1.142 -1.597
H -3.083 0.722 -1.395
H -3.962 1.460 -0.045
C 0.533 -3.386 1.952
O 0.520 -2.653 0.762
H 0.544 -4.454 1.702
H -0.355 -3.184 2.565
H 1.423 -3.178 2.563

=====

2.
ClH2NOS | the ωB97M-V functional and the def2-TZVPD basis

Results
Lowest unoccupied orbital energy, eV: -0.3
Gap between HOMO and LUMO, Eh: 0.382
M, g/mol: 99.54
Net charge: 0
Relative energy (zero: lowest compared OMol25 entry of this formula, charge and spin), kJ/mol: 9.7

Cartesian coordinates (Å):
N 0.920 0.023 0.218
O -0.830 -1.624 -0.462
S -0.645 -0.553 0.598
Cl -1.797 1.148 -0.101
H 1.021 0.978 0.546
H 1.331 0.028 -0.799

=====

3.
C4H9NO2 | the ωB97M-V functional and the def2-TZVPD basis

Results
Lowest unoccupied orbital energy, eV: 0.2
Gap between HOMO and LUMO, Eh: 0.277
M, g/mol: 103.12
Net charge: 0
Relative energy (zero: lowest compared OMol25 entry of this formula, charge and spin), kJ/mol: 348.0

Cartesian coordinates (Å):
C -2.282 -0.878 -0.195
C 2.199 -0.235 -0.537
N -2.579 0.363 0.031
C 0.845 0.800 1.303
C 2.025 0.598 0.693
O -0.314 0.270 0.917
O -2.026 -1.435 -1.367
H -2.049 -0.793 -2.092
H -2.068 -1.526 0.640
H -2.730 0.957 -0.780
H -1.511 0.807 0.617
H 0.820 1.383 2.229
H 2.906 1.060 1.119
H 2.781 -1.142 -0.340
H 1.225 -0.529 -0.929
H 2.759 0.301 -1.309

=====

4.
C6H28O8 | the ωB97M-V functional and the def2-TZVPD basis

Results
Lowest unoccupied orbital energy, eV: -0.1
Gap between HOMO and LUMO, Eh: 0.341
M, g/mol: 228.28
Net charge: 0
Relative energy (zero: lowest compared OMol25 entry of this formula, charge and spin), kJ/mol: 932.2

Cartesian coordinates (Å):
O 1.429 1.762 -1.858
H 1.152 2.669 -1.846
H 2.286 1.590 -1.511
H 0.631 1.097 -1.425
O -0.249 0.235 -0.586
H 0.166 -0.178 0.225
+++
DEFINITELY NOT!! I don't think so. I am so much more candid and so much more open online than anywhere IRL. If you and I were to... like... suddenly bump into each other in the middle of the ocean, say... since you are in Hawaii and I'm in Seattle, just to be rambling like you... I won't even be able to CHAT with you. I'll be petrified with shyness... I may manage to squeak out "hello!" and then there'll be this uncomfortable silence. The silence will stretch on and on until someone says "Oh I have to go to the bathroom" and flee. Either you or me. I hate when that happens but that probably is what would happen with me. Several times... like 20 years ago that is... I was chatting with a guy (when AOL first came out) and the guy would want to meet me and I'll say sure... only to stand them up. I did this more than once. I literally turn into solid rock... no wonder I'm in my late 30's and still single. Too freaking shy.
So this week's question came inspired from questions and conversation over the woman that received a face transplant.
"Could you go through with a face transplant? As a family member of the donor how hard would this be for you see to a face you once knew belong to someone else?"
An employee of mine and I discussed this topic tonight about the emotional crap this woman must be going through.
First, having a massive douche of a husband who only got 7 years in prison, Second, surviving such a horrendous attack and lastly living with another persons face that isn't yours.

I am much more outgoing and friendly in my blog. I am not a social person in real life because I have too many fears of rejection.